(Input)
Record 1
A cluster of 11 separate species, C23H71N3O14 in total in a non-equilibrium geometry. Source: OMol25; level of theory: the ωB97M-V functional and the def2-TZVPD basis.

Max |F|   3.18 eV/Å
Gap between HOMO and LUMO   9.2 eV
SMILES   COCCNCCOC.COCCNCCOC.COCCNCCOC.CO.CO.CO.CO.CO.O.O.O
ΔE to the lowest compared entry with this formula, charge and spin   0.677 eV
LUMO level   0.5 eV

```
! RIJCOSX wB97M-V def2-TZVPD def2/J DEFGRID3
* xyz 0 1
C 12.85 23.23 23.02
O 13.50 22.46 21.99
C 14.92 22.59 22.14
C 15.57 21.66 21.10
N 15.67 22.26 19.74
C 14.43 22.16 18.93
C 14.65 22.78 17.55
O 15.72 22.19 16.88
C 15.92 22.59 15.52
H 13.05 22.75 24.01
H 11.79 23.23 22.82
H 13.24 24.24 23.09
H 15.25 22.27 23.13
H 15.19 23.61 21.85
H 15.04 20.74 21.06
H 16.63 21.54 21.39
H 16.46 21.90 19.20
H 13.66 22.59 19.51
H 14.14 21.07 18.83
H 14.89 23.87 17.67
H 13.71 22.77 16.94
H 15.02 22.43 14.89
H 16.76 22.07 15.11
H 16.03 23.64 15.51
C 10.33 16.10 14.08
O 9.52 15.72 12.95
C 10.13 14.60 12.34
C 9.48 14.40 11.01
N 9.95 13.11 10.49
C 9.43 12.60 9.26
C 9.91 11.22 8.92
O 11.35 11.34 8.82
C 11.96 10.05 8.83
H 10.48 15.23 14.71
H 9.86 16.92 14.62
H 11.26 16.44 13.64
H 9.92 13.69 13.00
H 11.21 14.74 12.27
H 9.70 15.19 10.22
H 8.39 14.33 11.06
H 10.92 13.18 10.42
H 9.71 13.33 8.45
H 8.31 12.60 9.29
H 9.54 10.83 7.96
H 9.68 10.55 9.75
H 11.50 9.51 7.98
H 11.86 9.55 9.80
H 12.99 10.27 8.71
C 8.95 21.71 11.33
O 8.39 20.73 12.23
C 7.61 21.34 13.30
C 8.41 22.06 14.39
N 7.53 22.35 15.45
C 8.07 23.09 16.51
C 7.16 23.18 17.73
O 7.02 21.88 18.30
C 6.01 21.77 19.31
H 8.25 22.51 11.14
H 9.25 21.18 10.44
H 9.84 22.24 11.73
H 7.18 20.45 13.84
H 6.82 21.99 12.87
H 8.87 22.99 13.96
H 9.27 21.41 14.72
H 7.11 21.47 15.87
H 8.33 24.10 16.15
H 9.08 22.66 16.94
H 6.10 23.53 17.49
H 7.56 23.90 18.45
H 6.08 20.76 19.71
H 5.03 21.86 18.87
H 6.11 22.46 20.17
C 12.25 25.17 13.44
O 11.75 23.92 13.03
H 11.46 25.89 13.64
H 12.95 25.11 14.26
H 12.83 25.56 12.61
H 11.57 23.31 13.77
C 12.21 20.27 13.62
O 11.93 21.26 14.66
H 11.33 19.65 13.45
H 12.56 20.81 12.73
H 13.03 19.68 13.96
H 11.15 20.98 15.17
C 13.95 20.01 8.99
O 14.02 20.63 10.25
H 12.93 19.91 8.69
H 14.42 20.67 8.26
H 14.44 19.04 8.93
H 14.89 20.51 10.62
C 10.02 22.25 7.55
O 10.01 23.32 8.54
H 10.80 22.39 6.80
H 10.12 21.27 8.09
H 8.99 22.26 7.10
H 10.77 23.18 9.16
C 9.65 18.55 8.01
O 10.68 19.03 8.90
H 8.70 18.28 8.48
H 9.36 19.38 7.40
H 9.99 17.70 7.41
H 10.46 18.83 9.84
O 12.44 19.55 16.81
H 12.88 20.32 16.44
H 12.88 19.26 17.59
O 10.09 18.33 11.70
H 9.36 18.95 11.74
H 9.71 17.41 11.61
O 12.25 23.51 10.26
H 12.01 23.45 11.19
H 12.94 22.83 10.16
*
```

***

Record 2
A structure of composition C17H32AlClNO4 in a non-equilibrium geometry. Source: OMol25; level of theory: the ωB97M-V functional and the def2-TZVPD basis.

Max |F|   11.78 eV/Å
Gap between HOMO and LUMO   8.3 eV
LUMO level   2.7 eV

```
! RIJCOSX wB97M-V def2-TZVPD def2/J DEFGRID3
* xyz -1 1
C 1.22 4.33 -0.38
C -0.17 4.38 -1.26
C -1.55 4.44 -0.32
Cl -1.36 5.69 1.05
C -1.80 2.90 0.22
O -2.18 1.88 -0.81
Al -2.25 0.26 0.20
C -3.67 -0.97 -0.63
C -3.72 -2.49 -0.02
C -2.26 -3.12 0.41
C -1.36 -3.65 -0.89
C -0.24 -2.56 -1.40
C 1.09 -2.45 -0.42
C 2.48 -2.39 -1.34
C 2.95 -0.86 -1.71
C 3.44 0.05 -0.44
C 4.55 -0.65 0.53
O 4.20 -0.31 1.93
C 4.41 -1.45 2.84
O -2.72 1.19 1.79
C -2.85 2.65 1.47
O -4.29 2.71 1.09
C -5.07 1.74 1.93
N -5.61 1.04 2.91
H 1.91 3.48 -0.84
H 1.02 4.07 0.77
H 1.74 5.39 -0.50
H -0.24 3.34 -1.83
H -0.12 5.30 -2.03
H -2.40 4.83 -1.04
H -0.76 2.52 0.64
H -0.72 -0.18 0.17
H -3.60 -0.93 -1.82
H -4.73 -0.48 -0.38
H -4.54 -2.58 0.84
H -4.13 -3.19 -0.90
H -2.50 -4.11 1.03
(Request)
Please copy the lines further above up to the one that holds "11.57 23.31", that line included.
(Done)
Record 1
A cluster of 11 separate species, C23H71N3O14 in total in a non-equilibrium geometry. Source: OMol25; level of theory: the ωB97M-V functional and the def2-TZVPD basis.

Max |F|   3.18 eV/Å
Gap between HOMO and LUMO   9.2 eV
SMILES   COCCNCCOC.COCCNCCOC.COCCNCCOC.CO.CO.CO.CO.CO.O.O.O
ΔE to the lowest compared entry with this formula, charge and spin   0.677 eV
LUMO level   0.5 eV

```
! RIJCOSX wB97M-V def2-TZVPD def2/J DEFGRID3
* xyz 0 1
C 12.85 23.23 23.02
O 13.50 22.46 21.99
C 14.92 22.59 22.14
C 15.57 21.66 21.10
N 15.67 22.26 19.74
C 14.43 22.16 18.93
C 14.65 22.78 17.55
O 15.72 22.19 16.88
C 15.92 22.59 15.52
H 13.05 22.75 24.01
H 11.79 23.23 22.82
H 13.24 24.24 23.09
H 15.25 22.27 23.13
H 15.19 23.61 21.85
H 15.04 20.74 21.06
H 16.63 21.54 21.39
H 16.46 21.90 19.20
H 13.66 22.59 19.51
H 14.14 21.07 18.83
H 14.89 23.87 17.67
H 13.71 22.77 16.94
H 15.02 22.43 14.89
H 16.76 22.07 15.11
H 16.03 23.64 15.51
C 10.33 16.10 14.08
O 9.52 15.72 12.95
C 10.13 14.60 12.34
C 9.48 14.40 11.01
N 9.95 13.11 10.49
C 9.43 12.60 9.26
C 9.91 11.22 8.92
O 11.35 11.34 8.82
C 11.96 10.05 8.83
H 10.48 15.23 14.71
H 9.86 16.92 14.62
H 11.26 16.44 13.64
H 9.92 13.69 13.00
H 11.21 14.74 12.27
H 9.70 15.19 10.22
H 8.39 14.33 11.06
H 10.92 13.18 10.42
H 9.71 13.33 8.45
H 8.31 12.60 9.29
H 9.54 10.83 7.96
H 9.68 10.55 9.75
H 11.50 9.51 7.98
H 11.86 9.55 9.80
H 12.99 10.27 8.71
C 8.95 21.71 11.33
O 8.39 20.73 12.23
C 7.61 21.34 13.30
C 8.41 22.06 14.39
N 7.53 22.35 15.45
C 8.07 23.09 16.51
C 7.16 23.18 17.73
O 7.02 21.88 18.30
C 6.01 21.77 19.31
H 8.25 22.51 11.14
H 9.25 21.18 10.44
H 9.84 22.24 11.73
H 7.18 20.45 13.84
H 6.82 21.99 12.87
H 8.87 22.99 13.96
H 9.27 21.41 14.72
H 7.11 21.47 15.87
H 8.33 24.10 16.15
H 9.08 22.66 16.94
H 6.10 23.53 17.49
H 7.56 23.90 18.45
H 6.08 20.76 19.71
H 5.03 21.86 18.87
H 6.11 22.46 20.17
C 12.25 25.17 13.44
O 11.75 23.92 13.03
H 11.46 25.89 13.64
H 12.95 25.11 14.26
H 12.83 25.56 12.61
H 11.57 23.31 13.77